[Given]
'''
Below is a geometry-optimized HfPaIr structure, with properties calculated at the PBE level.

Distance to the lowest polymorph of the same formula (meV/atom): 0
DFT formation energy (eV/atom): -0.270
Magnetization (μB/f.u.): 0.1
SG: F-43m, No. 216

Lattice parameters (Å, degrees): 4.678 4.678 4.678 60.00 60.00 60.00
Fractional positions:
Hf  0.750  0.750  0.750
Pa  0.250  0.250  0.250
Ir  0.000  0.000  0.000

=====

Below is a geometry-optimized HfIr2Pd structure, with properties calculated at the PBE level.

DFT formation energy (eV/atom): -0.320
Magnetization (μB/f.u.): 0.6
SG: F-43m, No. 216

Lattice parameters (Å, degrees): 4.517 4.517 4.517 60.00 60.00 60.00
Site moments in Bohr magnetons follow the coordinates.
Fractional positions:
Hf  0.250  0.250  0.250  -0.01
Ir  0.000  0.000  0.000  0.31
Pd  0.500  0.500  0.500  0.01
Ir  0.750  0.750  0.750  0.30

=====

Below is a geometry-optimized HfIrPd2 structure, with properties calculated at the PBE level.

DFT formation energy (eV/atom): -0.534
Magnetization (μB/f.u.): 0.0
SG: F-43m, No. 216

Lattice parameters (Å, degrees): 4.521 4.521 4.521 60.00 60.00 60.00
Fractional positions:
Pd  0.250  0.250  0.250
Pd  0.000  0.000  0.000
Ir  0.750  0.750  0.750
Hf  0.500  0.500  0.500

=====

Below is a geometry-optimized HfIrPd2 structure, with properties calculated at the PBE level.

DFT formation energy (eV/atom): -0.534
Magnetization (μB/f.u.): 0.0
SG: F-43m, No. 216

Lattice parameters (Å, degrees): 4.521 4.521 4.521 60.00 60.00 60.00
Fractional positions:
Ir  0.500  0.500  0.500
Pd  0.000  0.000  0.000
Pd  0.250  0.250  0.250
Hf  0.750  0.750  0.750

=====

Below is a geometry-optimized HfIrPd structure, with properties calculated at the PBE level.

Distance to the lowest polymorph of the same formula (meV/atom): 61
DFT formation energy (eV/atom): -0.291
Magnetization (μB/f.u.): 0.0
SG: F-43m, No. 216

Lattice parameters (Å, degrees): 4.389 4.389 4.389 60.00 60.00 60.00
Fractional positions:
Hf  0.250  0.250  0.250
Pd  0.750  0.750  0.750
Ir  0.000  0.000  0.000

=====

Below is a geometry-optimized HfIrPd structure, with properties calculated at the PBE level.

Distance to the lowest polymorph of the same formula (meV/atom): 0
DFT formation energy (eV/atom): -0.352
Magnetization (μB/f.u.): 0.0
SG: F-43m, No. 216

Lattice parameters (Å, degrees): 4.356 4.356 4.356 60.00 60.00 60.00
Fractional positions:
Pd  0.750  0.750  0.750
Hf  0.000  0.000  0.000
Ir  0.250  0.250  0.250
'''

[Assignment]
It remains to search the rows earlier on for the word "No" and reproduce each line that has it.

[Written answer]
SG: F-43m, No. 216
SG: F-43m, No. 216
SG: F-43m, No. 216
SG: F-43m, No. 216
SG: F-43m, No. 216
SG: F-43m, No. 216